Data =
┌──
# FeSi2Tc

Crystalline FeSi2Tc at its relaxed geometry (PBE, the Alexandria database).

a b c (Å): 4.5686 4.5686 4.1577
angles (deg): 106.94 106.94 36.54
Last column: nearest neighbours and their distance in Å.
Element x y z (fractional)
Fe (0.0000, 0.0000, 0.0000)  7 Si 2.45-2.59, 2 Tc 2.70
Si (0.4967, 0.4967, 0.4774)  3 Tc 2.43-2.50, 4 Fe 2.45-2.59, 2 Si 2.68
Si (0.7398, 0.7398, 0.1204)  3 Fe 2.45-2.46, 4 Tc 2.51-2.54, 2 Si 2.68
Tc (0.2449, 0.2449, 0.6201)  7 Si 2.43-2.54, 2 Fe 2.70

Formation energy from raw total energies (meV per atom): -355
DOS(E_F) (states/eV/cell): 3.54
V (Å³ per atom): 12.292

* * * * *

# PBE Rb2Pt2Se, optimized geometry
data_Rb2Pt2Se
_chemical_formula_sum 'Rb4 Pt4 Se2'
_space_group_name_H-M_alt 'I m m m'
_space_group_IT_number 71
_space_group_name_Hall '-I 2 2'
_cell_length_a 4.4353
_cell_length_b 5.4125
_cell_length_c 11.0394
_cell_angle_alpha 90.00
_cell_angle_beta 90.00
_cell_angle_gamma 90.00
loop_
_atom_site_label
_atom_site_fract_x
_atom_site_fract_y
_atom_site_fract_z
_atom_site_occupancy
Rb1 0.0000 0.0000 0.2047 1
Pt1 0.0000 0.2570 0.5000 1
Se1 0.0000 0.5000 0.0000 1
# - E_tot: -3.793 eV per atom



# PBE Sc3Zn3NiAu2, optimized geometry
data_Sc3Zn3NiAu2
_chemical_formula_sum 'Sc3 Zn3 Ni1 Au2'
_space_group_name_H-M_alt 'P -6 2 m'
_space_group_IT_number 189
_space_group_name_Hall 'P -6 -2'
_cell_length_a 7.1611
_cell_length_b 7.1611
_cell_length_c 3.5773
_cell_angle_alpha 90.00
_cell_angle_beta 90.00
_cell_angle_gamma 120.00
loop_
_atom_site_label
_atom_site_fract_x
_atom_site_fract_y
_atom_site_fract_z
_atom_site_occupancy
Sc1 0.0000 0.6156 0.0000 1
Zn1 0.0000 0.2480 0.5000 1
Ni1 0.0000 0.0000 0.0000 1
Au1 0.3333 0.6667 0.5000 1
# - Energy relative to the elements: -5.1 eV per formula unit
# - E_tot: -4.448 eV per atom



# PBE AgGeBi, optimized geometry
data_AgGeBi
_chemical_formula_sum 'Ag4 Ge4 Bi4'
_space_group_name_H-M_alt 'F -4 3 m'
_space_group_IT_number 216
_space_group_name_Hall 'F -4 2 3'
_cell_length_a 6.9300
_cell_length_b 6.9300
_cell_length_c 6.9300
_cell_angle_alpha 90.00
_cell_angle_beta 90.00
_cell_angle_gamma 90.00
loop_
_atom_site_label
_atom_site_fract_x
_atom_site_fract_y
_atom_site_fract_z
_atom_site_occupancy
Ag1 0.0000 0.0000 0.0000 1
Ge1 0.0000 0.0000 0.5000 1
Bi1 0.2500 0.2500 0.2500 1
# - E_tot: -3.513 eV per atom



# PBE CdGaPb, optimized geometry
data_CdGaPb
_chemical_formula_sum 'Cd4 Ga4 Pb4'
_space_group_name_H-M_alt 'P n m a'
_space_group_IT_number 62
_cell_length_a 6.6414
_cell_length_b 4.6600
_cell_length_c 9.6644
_cell_angle_alpha 90.00
_cell_angle_beta 90.00
_cell_angle_gamma 90.00
loop_
_space_group_symop_operation_xyz
'x,y,z'
'-x,-y,-z'
'-x+1/2,-y,z+1/2'
'x+1/2,y,-z+1/2'
'x+1/2,-y+1/2,-z+1/2'
'-x+1/2,y+1/2,z+1/2'
'-x,y+1/2,-z'
'x,-y+1/2,z'
loop_
_atom_site_label
_atom_site_fract_x
_atom_site_fract_y
_atom_site_fract_z
_atom_site_occupancy
Cd1 0.1000 0.2500 0.2401 1
Ga1 0.1152 0.2500 0.9193 1
Pb1 0.1371 0.2500 0.5871 1
# - Energy above the lowest structure with this stoichiometry: 0.000 eV per atom
# - E_tot: -2.469 eV per atom



# PBE LiReO3, optimized geometry
data_LiReO3
_chemical_formula_sum 'Li4 Re4 O12'
_space_group_name_H-M_alt 'P n n a'
_space_group_IT_number 52
_cell_length_a 5.1217
_cell_length_b 4.9434
_cell_length_c 8.4641
_cell_angle_alpha 90.00
_cell_angle_beta 90.00
_cell_angle_gamma 90.00
loop_
_space_group_symop_operation_xyz
'x,y,z'
'-x,-y,-z'
'-x+1/2,-y,z'
'x+1/2,y,-z'
'x,-y+1/2,-z+1/2'
'-x,y+1/2,z+1/2'
'-x+1/2,y+1/2,-z+1/2'
'x+1/2,-y+1/2,z+1/2'
loop_
_atom_site_label
_atom_site_fract_x
_atom_site_fract_y
_atom_site_fract_z
_atom_site_occupancy
Li1 0.2500 0.0000 0.1943 1
Re1 0.2500 0.0000 0.5948 1
O1 0.0793 0.2066 0.4200 1
O2 0.1346 0.2500 0.7500 1
# - E_tot: -7.457 eV per atom



# PBE BeTlCuW, optimized geometry
data_BeTlCuW
_chemical_formula_sum 'Be4 Tl4 Cu4 W4'
_space_group_name_H-M_alt 'F -4 3 m'
_space_group_IT_number 216
_space_group_name_Hall 'F -4 2 3'
_cell_length_a 6.3054
_cell_length_b 6.3054
_cell_length_c 6.3054
└──
Job =
Next, transcribe everything further above unchanged.
Outcome =
# FeSi2Tc

Crystalline FeSi2Tc at its relaxed geometry (PBE, the Alexandria database).

a b c (Å): 4.5686 4.5686 4.1577
angles (deg): 106.94 106.94 36.54
Last column: nearest neighbours and their distance in Å.
Element x y z (fractional)
Fe (0.0000, 0.0000, 0.0000)  7 Si 2.45-2.59, 2 Tc 2.70
Si (0.4967, 0.4967, 0.4774)  3 Tc 2.43-2.50, 4 Fe 2.45-2.59, 2 Si 2.68
Si (0.7398, 0.7398, 0.1204)  3 Fe 2.45-2.46, 4 Tc 2.51-2.54, 2 Si 2.68
Tc (0.2449, 0.2449, 0.6201)  7 Si 2.43-2.54, 2 Fe 2.70

Formation energy from raw total energies (meV per atom): -355
DOS(E_F) (states/eV/cell): 3.54
V (Å³ per atom): 12.292

* * * * *

# PBE Rb2Pt2Se, optimized geometry
data_Rb2Pt2Se
_chemical_formula_sum 'Rb4 Pt4 Se2'
_space_group_name_H-M_alt 'I m m m'
_space_group_IT_number 71
_space_group_name_Hall '-I 2 2'
_cell_length_a 4.4353
_cell_length_b 5.4125
_cell_length_c 11.0394
_cell_angle_alpha 90.00
_cell_angle_beta 90.00
_cell_angle_gamma 90.00
loop_
_atom_site_label
_atom_site_fract_x
_atom_site_fract_y
_atom_site_fract_z
_atom_site_occupancy
Rb1 0.0000 0.0000 0.2047 1
Pt1 0.0000 0.2570 0.5000 1
Se1 0.0000 0.5000 0.0000 1
# - E_tot: -3.793 eV per atom



# PBE Sc3Zn3NiAu2, optimized geometry
data_Sc3Zn3NiAu2
_chemical_formula_sum 'Sc3 Zn3 Ni1 Au2'
_space_group_name_H-M_alt 'P -6 2 m'
_space_group_IT_number 189
_space_group_name_Hall 'P -6 -2'
_cell_length_a 7.1611
_cell_length_b 7.1611
_cell_length_c 3.5773
_cell_angle_alpha 90.00
_cell_angle_beta 90.00
_cell_angle_gamma 120.00
loop_
_atom_site_label
_atom_site_fract_x
_atom_site_fract_y
_atom_site_fract_z
_atom_site_occupancy
Sc1 0.0000 0.6156 0.0000 1
Zn1 0.0000 0.2480 0.5000 1
Ni1 0.0000 0.0000 0.0000 1
Au1 0.3333 0.6667 0.5000 1
# - Energy relative to the elements: -5.1 eV per formula unit
# - E_tot: -4.448 eV per atom



# PBE AgGeBi, optimized geometry
data_AgGeBi
_chemical_formula_sum 'Ag4 Ge4 Bi4'
_space_group_name_H-M_alt 'F -4 3 m'
_space_group_IT_number 216
_space_group_name_Hall 'F -4 2 3'
_cell_length_a 6.9300
_cell_length_b 6.9300
_cell_length_c 6.9300
_cell_angle_alpha 90.00
_cell_angle_beta 90.00
_cell_angle_gamma 90.00
loop_
_atom_site_label
_atom_site_fract_x
_atom_site_fract_y
_atom_site_fract_z
_atom_site_occupancy
Ag1 0.0000 0.0000 0.0000 1
Ge1 0.0000 0.0000 0.5000 1
Bi1 0.2500 0.2500 0.2500 1
# - E_tot: -3.513 eV per atom



# PBE CdGaPb, optimized geometry
data_CdGaPb
_chemical_formula_sum 'Cd4 Ga4 Pb4'
_space_group_name_H-M_alt 'P n m a'
_space_group_IT_number 62
_cell_length_a 6.6414
_cell_length_b 4.6600
_cell_length_c 9.6644
_cell_angle_alpha 90.00
_cell_angle_beta 90.00
_cell_angle_gamma 90.00
loop_
_space_group_symop_operation_xyz
'x,y,z'
'-x,-y,-z'
'-x+1/2,-y,z+1/2'
'x+1/2,y,-z+1/2'
'x+1/2,-y+1/2,-z+1/2'
'-x+1/2,y+1/2,z+1/2'
'-x,y+1/2,-z'
'x,-y+1/2,z'
loop_
_atom_site_label
_atom_site_fract_x
_atom_site_fract_y
_atom_site_fract_z
_atom_site_occupancy
Cd1 0.1000 0.2500 0.2401 1
Ga1 0.1152 0.2500 0.9193 1
Pb1 0.1371 0.2500 0.5871 1
# - Energy above the lowest structure with this stoichiometry: 0.000 eV per atom
# - E_tot: -2.469 eV per atom



# PBE LiReO3, optimized geometry
data_LiReO3
_chemical_formula_sum 'Li4 Re4 O12'
_space_group_name_H-M_alt 'P n n a'
_space_group_IT_number 52
_cell_length_a 5.1217
_cell_length_b 4.9434
_cell_length_c 8.4641
_cell_angle_alpha 90.00
_cell_angle_beta 90.00
_cell_angle_gamma 90.00
loop_
_space_group_symop_operation_xyz
'x,y,z'
'-x,-y,-z'
'-x+1/2,-y,z'
'x+1/2,y,-z'
'x,-y+1/2,-z+1/2'
'-x,y+1/2,z+1/2'
'-x+1/2,y+1/2,-z+1/2'
'x+1/2,-y+1/2,z+1/2'
loop_
_atom_site_label
_atom_site_fract_x
_atom_site_fract_y
_atom_site_fract_z
_atom_site_occupancy
Li1 0.2500 0.0000 0.1943 1
Re1 0.2500 0.0000 0.5948 1
O1 0.0793 0.2066 0.4200 1
O2 0.1346 0.2500 0.7500 1
# - E_tot: -7.457 eV per atom



# PBE BeTlCuW, optimized geometry
data_BeTlCuW
_chemical_formula_sum 'Be4 Tl4 Cu4 W4'
_space_group_name_H-M_alt 'F -4 3 m'
_space_group_IT_number 216
_space_group_name_Hall 'F -4 2 3'
_cell_length_a 6.3054
_cell_length_b 6.3054
_cell_length_c 6.3054